The EU REDIII introduces a revised target of at least 42.5% renewable energy in the overall energy consumption in the EU across all sectors by 2030; up from 32% in EU REDII. It also includes notable changes to renewable fuel obligations in the transport sector, including aviation. The following outlines the most significant changes in the EU REDIII pertinent to transport.
-- Data records that have nothing to do with the entry --
'''
1.
First-principles (PBE+U) data for Ba2MgZnWO6 after structural relaxation, as listed in the Materials Project.

Unit cell a=6.4621 b=7.2057 c=7.2057 alpha=50.74 beta=54.10 gamma=54.10
Closest atoms and distances in Å follow each position.
Fractional positions:
W (0.1107, 0.0549, 0.0549)  3 O 1.81-1.84
Ba (0.6985, 0.6788, 0.6788)  3 O 2.62-2.66
Zn (0.4675, 0.5348, 0.5348)  3 O 2.01-2.02
Mg (0.8770, 0.9174, 0.9174)  3 O 1.89-1.92
O (0.2774, 0.2424, 0.7177)  1 W 1.84
O (0.2774, 0.7177, 0.2424)  1 W 1.84
O (0.2207, 0.7370, 0.7370)  1 Mg 1.92, 1 Zn 2.01
O (0.7426, 0.2726, 0.7147)  1 Mg 1.89, 1 Zn 2.02
O (0.7529, 0.2033, 0.2033)  1 W 1.81
Ba (0.1973, 0.3013, 0.3013)  3 O 2.69-2.93
O (0.7426, 0.7147, 0.2726)  1 Mg 1.89, 1 Zn 2.02

Values from the calculation:
The crystal system is monoclinic. As for the energy relative to the lowest polymorph listed for this composition: 0.1928 eV per atom. The value obtained for the magnetic moment is 0.00 μB per formula unit.

***

2.
First-principles (PBE+U) data for MgTl4Mo2O8 after structural relaxation, as listed in the Materials Project.

Unit cell a=6.3731 b=6.8179 c=8.2690 alpha=85.47 beta=90.24 gamma=63.38
Closest atoms and distances in Å follow each position.
Fractional positions:
O (0.2746, 0.6214, 0.2274)  1 Mo 1.86
Tl (0.9921, 0.0072, 0.9632)  3 O 2.62-2.74
Tl (0.3051, 0.3608, 0.8184)  3 O 2.70-2.86
Mo (0.6596, 0.6632, 0.7286)  4 O 1.82-1.94
Mg (0.8702, 0.3599, 0.4838)  4 O 1.95-2.02
O (0.8635, 0.7434, 0.8252)  1 Mo 1.82
O (0.4039, 0.1484, 0.1192)  1 Mo 1.86
Tl (0.0355, 0.8236, 0.4781)  3 O 2.67-2.76
Tl (0.6137, 0.7311, 0.1699)  3 O 2.54-2.71
Mo (0.3966, 0.3201, 0.2857)  4 O 1.86-1.89
O (0.8135, 0.3476, 0.7229)  1 Mo 1.93, 1 Mg 2.01
O (0.6940, 0.6890, 0.4958)  1 Mo 1.94, 1 Mg 2.02
O (0.7137, 0.2371, 0.3477)  1 Mo 1.89, 1 Mg 1.96
O (0.3593, 0.7500, 0.7921)  1 Mo 1.83
O (0.1919, 0.3014, 0.4404)  1 Mo 1.87, 1 Mg 1.95

Values from the calculation:
The crystal system is triclinic. As for the energy relative to the lowest polymorph listed for this composition: 0.0000 eV per atom. The value obtained for the magnetic moment is 2.02 μB per formula unit.

***

3.
First-principles (PBE+U) data for Li2VC2O6 after structural relaxation, as listed in the Materials Project.

Unit cell a=7.8745 b=7.8782 c=8.4805 alpha=68.81 beta=68.82 gamma=76.90
Closest atoms and distances in Å follow each position.
Fractional positions:
C (0.1194, 0.6211, 0.0889)  3 O 1.30
C (0.3807, 0.8908, 0.9104)  3 O 1.29-1.30
O (0.2403, 0.5036, 0.5660)  1 C 1.30
Li (0.1808, 0.7434, 0.6004)  3 O 1.94-2.05
V (0.5000, 0.0000, 0.5000)  6 O 2.16-2.17
C (0.8641, 0.8706, 0.5851)  3 O 1.30-1.31
C (0.6299, 0.6293, 0.4134)  3 O 1.30
O (0.0163, 0.2501, 0.9209)  1 C 1.30
Li (0.0731, 0.0745, 0.7846)  3 O 1.98-2.00
O (0.0773, 0.1887, 0.2778)  1 C 1.30
O (0.8197, 0.4298, 0.7752)  1 C 1.30
C (0.1359, 0.1294, 0.4149)  3 O 1.30-1.31
O (0.7597, 0.4964, 0.4340)  1 C 1.30
O (0.9837, 0.7499, 0.0791)  1 C 1.30
O (0.1803, 0.5702, 0.2248)  1 C 1.30
'''
The Renewable Energy Directive is the main legal framework for the development of clean energy across all sectors of the EU economy. It requires EU Member States to use a certain percentage of renewables in their total energy consumption with an overarching aim of reducing overall greenhouse gas (GHG) emissions. The transport sector, including aviation, falls under the EU RED application scope. The first version was adopted in 2009, and superseded by a revised version in 2018 (“EU REDII”). The EU REDII was recently revised and published in the Official Journal as of 31 October 2023 (“EU REDIII”). Obligations under EU REDIII and RefuelEU Aviation will come into effect in 2025.
The EU REDIII introduces a revised target of at least 42.5% renewable energy in the overall energy consumption in the EU across all sectors by 2030; up from 32% in EU REDII. It also includes notable changes to renewable fuel obligations in the transport sector, including aviation. The following outlines the most significant changes in the EU REDIII pertinent to transport.
Changes in obligation on fuel suppliers in the transport sector
The EU REDIII includes revised obligations on fuel suppliers to reinforce the regulatory framework of each member state for renewable energy use in transport:
- At least a 29% share of renewable energy in the final consumption of energy by 2030 or at least 5% greenhouse gas intensity reduction by 2030, compared to the baseline set out in Article 27(1).
- The combined share of advanced biofuels and biogas is 1% in 2025, and 5.5% in 2030 with at least 1% being renewable fuel of non-biological origin.
Changes in energy content multipliers for advanced biofuels
Advanced biofuels and biogas produced from the feedstocks listed in Part A of Annex IX for the aviation and maritime transport modes shall be considered to be 1.2 times their energy content. Regarding the renewable fuels of non-biological origin, a multiplier of 1.5 times their energy content will be applied.
Additional sustainability criteria for renewable fuels
## These materials data were left in the text by mistake
********
[1]
This record from the Materials Project describes a geometry-optimized LiSi5O10 structure. The functional is PBE.

## Properties
- Theoretical density: 1.62 Mg/m³
- Formation enthalpy at 0 K: -2.940 eV per atom
- SG: P-4m2 (115)
- Crystal system: tetragonal

Lattice parameters (Å, degrees): 6.967 6.967 6.479 90.00 90.00 90.00
Positions (direct):
O (0.500, 0.000, 0.120)
Li (0.500, 0.500, 0.500)
Si (0.000, 0.731, 0.881)
O (0.192, 0.808, 0.000)
O (0.000, 0.807, 0.643)
O (0.808, 0.808, 0.000)
Si (0.000, 0.269, 0.881)
O (0.000, 0.500, 0.880)
Si (0.269, 0.000, 0.119)
O (0.000, 0.193, 0.643)
O (0.193, 0.000, 0.357)
Si (0.731, 0.000, 0.119)
O (0.192, 0.192, 0.000)
O (0.808, 0.192, 0.000)
Si (0.000, 0.000, 0.500)
O (0.807, 0.000, 0.357)

=====

[2]
This record from the Materials Project describes a geometry-optimized ZrZnN2 structure. The functional is PBE.

## Properties
- Theoretical density: 6.05 Mg/m³
- Piezoelectric modulus e_max: 3.28 C/m2
- Formation enthalpy at 0 K: -1.045 eV per atom
- SG: P3m1 (156)
- Crystal system: trigonal

Lattice parameters (Å, degrees): 3.311 3.311 5.337 90.00 90.00 120.00
Positions (direct):
Zn (0.667, 0.333, 0.450)
Zr (0.000, 0.000, 0.003)
N (0.667, 0.333, 0.817)
N (0.333, 0.667, 0.260)

=====

[3]
This record from the Materials Project describes a geometry-optimized Pr2Co7 structure. The functional is PBE.

## Properties
- Theoretical density: 8.48 Mg/m³
- Formation enthalpy at 0 K: 0.002 eV per atom
- SG: R-3m (166)
- Crystal system: trigonal

Lattice parameters (Å, degrees): 5.050 5.050 12.652 78.49 78.49 60.00
Positions (direct):
Co (0.395, 0.395, 0.321)
Pr (0.051, 0.051, 0.846)
Co (0.387, 0.387, 0.839)
Co (0.279, 0.279, 0.163)
Co (0.605, 0.605, 0.679)
Co (0.605, 0.112, 0.679)
Co (0.888, 0.395, 0.321)
Co (0.000, 0.500, 0.000)
Co (0.500, 0.500, 0.000)
Pr (0.949, 0.949, 0.154)
Co (0.500, 0.500, 0.500)
Co (0.112, 0.605, 0.679)
Co (0.721, 0.721, 0.837)
Co (0.500, 0.000, 0.000)
Pr (0.852, 0.852, 0.445)
Pr (0.148, 0.148, 0.555)
Co (0.613, 0.613, 0.161)
Co (0.395, 0.888, 0.321)


(1)
Entry from Materials Project: LiZnPO4 after structural relaxation (GGA-PBE).

abc: 17.482 9.880 17.338
angles: 90.00 110.94 90.00
Space group Cc (No. 9)
Inequivalent atoms, fractional coordinates:
1 Li 0.000 0.035 0.000 [4 per cell]
2 Li 0.025 0.437 0.497 [4 per cell]
3 Li 0.035 0.321 0.747 [4 per cell]
4 Li 0.066 0.211 0.249 [4 per cell]
5 Li 0.246 0.283 0.998 [4 per cell]
6 Li 0.282 0.193 0.497 [4 per cell]
7 Li 0.285 0.068 0.747 [4 per cell]
8 Li 0.314 0.461 0.247 [4 per cell]
9 Zn 0.121 0.213 0.622 [4 per cell]
10 Zn 0.153 0.317 0.123 [4 per cell]
11 Zn 0.160 0.438 0.372 [4 per cell]
12 Zn 0.186 0.034 0.872 [4 per cell]
13 Zn 0.371 0.036 0.122 [4 per cell]
14 Zn 0.402 0.430 0.623 [4 per cell]
15 Zn 0.408 0.311 0.872 [4 per cell]
16 Zn 0.439 0.214 0.372 [4 per cell]
17 P 0.189 0.030 0.060 [4 per cell]
18 P 0.216 0.438 0.561 [4 per cell]
19 P 0.219 0.311 0.809 [4 per cell]
20 P 0.249 0.217 0.311 [4 per cell]
********
Biofuels, bioliquids, and biomass fuels produced from agricultural biomass shall not be made from raw material obtained from land with a high biodiversity value. In addition to the categories mentioned in RED II, such as primary forest and other wooded land, highly biodiverse forest and other wooded land, areas protected by the law to safeguard nature, species, ecosystems, and highly biodiverse grassland, the EU RED III also added heathland.
National policies for biomass energy production shall also take measures to minimize adverse impacts on biodiversity, the environment, and the climate, in addition to disruptions to the biomass raw material market. The Member States shall also design support schemes to avoid incentivizing unsustainable pathways and distorting competition with the material sectors. The use of woody biomass is regulated to ensure its highest economic and environmental added value.
Greenhouse gas reductions requirements
Records of crystals, kept here for reference:
=====
(1)
Below is a relaxed Mg2Si crystal, with properties calculated at the GGA-PBE level.

Computed properties:
Crystal system: orthorhombic
Uncorrected energy, eV per atom: -2.971

abc: 4.204 7.010 8.040
angles: 90.00 90.00 90.00
Fractional coordinates of all 12 atoms:
Si 0.250 0.753 0.374
Mg 0.250 0.531 0.666
Mg 0.250 0.641 0.061
Si 0.750 0.247 0.626
Mg 0.750 0.859 0.561
Mg 0.750 0.359 0.939
Mg 0.750 0.969 0.166
Mg 0.250 0.031 0.834
Mg 0.750 0.469 0.334
Mg 0.250 0.141 0.439
Si 0.250 0.253 0.126
Si 0.750 0.747 0.874

(2)
Below is a relaxed CeMg2Ni crystal, with properties calculated at the GGA-PBE level.

Computed properties:
Crystal system: cubic
Uncorrected energy, eV per atom: -3.763

abc: 4.863 4.863 4.863
angles: 60.00 60.00 60.00
Fractional coordinates of all 4 atoms:
Mg 0.250 0.250 0.250
Mg 0.500 0.500 0.500
Ce 0.000 0.000 0.000
Ni 0.750 0.750 0.750

(3)
Below is a relaxed ReN2 crystal, with properties calculated at the GGA-PBE level.

Computed properties:
Crystal system: orthorhombic
Uncorrected energy, eV per atom: -9.394

abc: 4.806 4.806 2.832
angles: 90.00 90.00 107.09
Fractional coordinates of all 6 atoms:
Re 0.000 0.500 0.000
N 0.312 0.688 0.500
Re 0.500 0.000 0.000
N 0.886 0.886 0.000
N 0.688 0.312 0.500
N 0.114 0.114 0.000

(4)
Below is a relaxed LiNbO3 crystal, with properties calculated at the GGA-PBE level.

Computed properties:
Crystal system: trigonal
Uncorrected energy, eV per atom: -7.825

abc: 5.544 5.544 5.544
angles: 56.75 56.75 56.75
Fractional coordinates of all 10 atoms:
O 0.130 0.370 0.750
O 0.750 0.130 0.370
Li 0.750 0.750 0.750
Li 0.250 0.250 0.250
O 0.250 0.870 0.630
Nb 0.500 0.500 0.500
O 0.370 0.750 0.130
O 0.870 0.630 0.250
O 0.630 0.250 0.870
Nb 0.000 0.000 0.000

(5)
Below is a relaxed ThMnAl crystal, with properties calculated at the GGA-PBE level.

Computed properties:
Crystal system: orthorhombic
Uncorrected energy, eV per atom: -6.987

abc: 5.492 5.492 5.492
angles: 119.02 119.01 91.71
Fractional coordinates of all 6 atoms:
Th 0.135 0.885 0.250
Th 0.865 0.115 0.750
Al 0.500 0.500 0.000
Al 0.000 0.500 0.500
Mn 0.500 0.000 0.000
Mn 0.500 0.500 0.500

(6)
Below is a relaxed In4Sn3O12 crystal, with properties calculated at the GGA-PBE level.

Computed properties:
Crystal system: triclinic
Uncorrected energy, eV per atom: -5.913

abc: 6.271 6.352 6.366
angles: 99.55 99.54 99.73
Fractional coordinates of all 19 atoms:
O 0.414 0.584 0.162
O 0.416 0.810 0.584
O 0.319 0.082 0.942
Sn 0.001 0.005 0.001
O 0.681 0.899 0.046
Sn 0.860 0.397 0.682
In 0.604 0.314 0.138
In 0.694 0.865 0.393
O 0.590 0.431 0.821
In 0.310 0.129 0.605
O 0.178 0.417 0.600
O 0.590 0.180 0.426
O 0.057 0.687 0.890
O 0.944 0.316 0.097
O 0.905 0.073 0.693
In 0.138 0.604 0.317
O 0.821 0.580 0.431
Sn 0.396 0.686 0.861
O 0.085 0.940 0.311

(7)
Below is a relaxed Zr3Tl2Cu2Se8 crystal, with properties calculated at the GGA-PBE level.

Computed properties:
Crystal system: monoclinic
Uncorrected energy, eV per atom: -5.393

abc: 7.689 7.689 14.534
=====
Energy from renewable fuels of non-biological origin shall be counted towards Member States’ shares of renewable energy and the targets. only if the greenhouse gas emissions savings from the use of those fuels are at least 70%. Energy from recycled carbon fuels may be counted towards the greenhouse gas intensity reduction target by 2030 only if the greenhouse gas emissions savings from the use of those fuels are at least 70%.
The methodology for assessing greenhouse gas emissions savings from renewable fuels of non-biological origin and from recycled carbon fuels shall ensure that no credit is given for carbon captured from fossil sources that has already received an emission credit under other provisions of law.
The full text of the EU REDIII in the Official Journal can be accessed via this link.